What to do:
Please say how many lines of the rows further below hold the word "with", as a bare number.
Input:
(1)
Starting from the PBE geometry in the Materials Project, the PXRD pattern of MgNi2P was simulated for Cu Kα (λ = 1.5418 Å).
Neutral-atom scattering factors, no anomalous dispersion.

The 10 most intense peaks (10 to 90 degrees two-theta), sorted by position:
2θ (°)	I_rel	hkl
22.45	73.8	1 0 1
36.27	32.1	1 2 1
38.47	71.7	1 0 2
39.91	55.3	2 2 0
41.11	58.7	1 1 2
43.95	61.8	2 2 1
46.03	96.4	3 0 1
48.32	100.0	1 2 2
48.80	76.1	1 3 1
51.71	43.1	2 3 0

Structure:
Cell: 6.4310 6.3483 5.0248 Å, 90.00 90.00 90.00°
Positions (direct):
Mg1 0.0182 0.2500 0.1263
Mg2 0.4818 0.7500 0.6263
Mg3 0.5182 0.2500 0.3737
Mg4 0.9818 0.7500 0.8737
Ni1 0.1753 0.0529 0.6002
Ni2 0.1753 0.4471 0.6002
Ni3 0.3247 0.5529 0.1002
Ni4 0.3247 0.9471 0.1002
Ni5 0.6753 0.0529 0.8998
Ni6 0.6753 0.4471 0.8998
Ni7 0.8247 0.5529 0.3998
Ni8 0.8247 0.9471 0.3998
P1 0.1257 0.7500 0.3773
P2 0.3743 0.2500 0.8773
P3 0.6257 0.7500 0.1227
P4 0.8743 0.2500 0.6227

(2)
Starting from the PBE geometry in the Materials Project, the PXRD pattern of MgNi4P4S4 was simulated for Cu Kα (λ = 1.5418 Å).
Neutral-atom scattering factors, no anomalous dispersion.

The 10 most intense peaks (10 to 90 degrees two-theta), sorted by position:
2θ (°)	I_rel	hkl
12.23	28.8	0 0 1
24.61	100.0	0 0 2
26.84	31.8	-1 1 1
30.91	14.3	1 0 -2
32.50	20.4	0 2 0
34.46	17.7	2 0 1
37.28	12.3	0 0 3
38.23	18.5	2 -1 1
53.58	19.3	3 1 0
54.56	13.3	-1 3 1

Structure:
Cell: 5.4174 5.5105 7.2620 Å, 89.63 85.11 89.95°
Positions (direct):
Mg1 0.0000 0.0000 0.0000
Ni1 0.3476 0.7246 0.7338
Ni2 0.4713 0.2381 0.2645
Ni3 0.8467 0.2303 0.6777
Ni4 0.9701 0.7389 0.3168
P1 0.3380 0.8774 0.2293
P2 0.4895 0.3687 0.7950
P3 0.8269 0.1215 0.3734
P4 0.9947 0.6076 0.6254
S1 0.0884 0.3575 0.2128
S2 0.2383 0.1078 0.6956
S3 0.5850 0.6120 0.3059
S4 0.7267 0.8467 0.7714

(3)
Starting from the PBE geometry in the Materials Project, the PXRD pattern of MgNi4P4S4 was simulated for Cu Kα (λ = 1.5418 Å).
Neutral-atom scattering factors, no anomalous dispersion.

The 10 most intense peaks (10 to 90 degrees two-theta), sorted by position:
2θ (°)	I_rel	hkl
26.86	93.8	1 1 -1
30.72	100.0	0 0 2
30.91	97.4	0 2 0
31.05	93.6	2 0 0
43.64	40.2	0 2 2
43.82	77.4	2 2 0
44.67	68.7	2 0 -2
52.31	39.2	-1 1 3
52.54	39.5	1 3 -1
52.73	65.3	1 1 -3

Structure:
Cell: 5.7631 5.7890 5.8229 Å, 88.74 88.83 88.74°
Positions (direct):
Mg1 0.0000 0.0000 0.0000
Ni1 0.2861 0.2991 0.7769
Ni2 0.2918 0.7785 0.2940
Ni3 0.7613 0.7704 0.7678
Ni4 0.7750 0.2927 0.2983
P1 0.1829 0.8856 0.6440
P2 0.4165 0.4216 0.4218
P3 0.6395 0.1873 0.8847
P4 0.8788 0.6470 0.1912
S1 0.2065 0.2221 0.2219
S2 0.3841 0.6843 0.8913
S3 0.6765 0.8931 0.3908
S4 0.8856 0.3915 0.6859

What is the formula in the second record?
MgNi4P4S4

=====

Record 1
Diffraction record for CaTaAlO5. The powder diffraction line list is simulated, not measured: it uses a cell relaxed with GGA-PBE and λ = 1.5418 Å (Cu Kα).
Neutral-atom scattering factors, no anomalous dispersion.

The 10 most intense peaks (2θ from 5° to 70°), by intensity:
- hkl 1 1 0, 2θ = 17.38°, d 5.104, I = 100
- hkl 1 3 0, 2θ = 33.12°, d 2.705, I = 81
- hkl 1 1 -2, 2θ = 26.06°, d 3.419, I = 79
- hkl 2 0 0, 2θ = 28.83°, d 3.097, I = 38
- hkl 0 2 0, 2θ = 19.71°, d 4.505, I = 31
- hkl 3 1 -2, 2θ = 41.82°, d 2.160, I = 19
- hkl 3 3 0, 2θ = 53.88°, d 1.702, I = 17
- hkl 2 2 -2, 2θ = 36.01°, d 2.494, I = 17
- hkl 1 1 2, 2θ = 36.54°, d 2.459, I = 17
- hkl 2 2 2, 2θ = 51.75°, d 1.767, I = 13

a = 6.821 Å, b = 9.010 Å, c = 7.464 Å
α = 90.00°, β = 114.76°, γ = 90.00°
Space group C2/c (No. 15)
Inequivalent atoms, fractional coordinates:
1 Ca 0.000 0.169 0.250 x4
2 Ta 0.000 0.500 0.000 x4
3 Al 0.000 0.183 0.750 x4
4 O 0.000 0.427 0.250 x4
5 O 0.101 0.295 0.611 x8
6 O 0.192 0.057 0.910 x8


Record 2
Diffraction record for Er2Cu2O5. The powder diffraction line list is simulated, not measured: it uses a cell relaxed with GGA-PBE and λ = 1.5418 Å (Cu Kα).
Neutral-atom scattering factors, no anomalous dispersion.

The 10 most intense peaks (2θ from 5° to 70°), by intensity:
Outcome:
2